Call for offer

Co-creation of a podcast series

Co-creation of a podcast series between the Rosa-Luxemburg-Stiftung Brussels office and a progressive publishing house

The Rosa-Luxemburg-Stiftung is an internationally operating, left non-profit organization for civic education affiliated with Germany’s Left Party. Active since 1990, the foundation has been committed to the analysis of social and political processes and developments worldwide. We work in favor of a more just world system based on international solidarity.

Background & objectives

The Covid-19 pandemic has been a new extreme reminder that our societies and lives are utterly intertwined with the evolution of our environment and our planet.

Quantum chemistry results that have nothing to do with the entry:
********
No. 1
DFT (ωB97M-V/def2-TZVPD) results for a cluster of 2 separate species, C3HF3N2O2 in total in a non-equilibrium geometry.

total charge	0
highest occupied orbital energy (spin up / spin down)	-9.165 / -9.163	eV
total energy	-674.4217	hartree
M	154.0	g/mol

Last column: natural (NBO) charge in e.
Cartesian coordinates (Å):
O -1.195 0.974 0.325  -0.54
N -1.369 -2.137 -0.345  -0.49
F 1.309 1.087 -0.001  -0.30
F 2.797 -0.138 0.999  -0.30
C 1.925 -0.073 0.004  1.00
O -2.466 2.841 0.066  -0.49
N -0.302 -1.517 -0.123  -0.02
C 0.743 -1.260 0.325  0.07
F 2.503 -0.213 -1.195  -0.31
C -1.801 1.941 0.197  1.03
H -2.142 -1.504 -0.253  0.34



No. 2
DFT (ωB97M-V/def2-TZVPD) results for a cluster of 2 separate species, C3HF3O in total in a non-equilibrium geometry.

total charge	0
highest occupied orbital energy	-10.639	eV
SMILES	O=C(F)F.C#CF
total energy	-489.6481	hartree
M	110.0	g/mol

Last column: natural (NBO) charge in e.
Cartesian coordinates (Å):
C 2.679 -0.528 -0.582  1.13
F 0.845 2.916 1.399  -0.25
F 3.614 -0.251 0.322  -0.31
O 1.761 -1.159 -0.312  -0.53
F 3.085 -0.139 -1.749  -0.29
C -0.118 1.053 0.194  -0.39
C 0.417 2.016 0.644  0.41
H -0.366 0.240 -0.360  0.23



No. 3
DFT (ωB97M-V/def2-TZVPD) results for a cluster of 2 separate species, C3HF6NO3 in total in a non-equilibrium geometry.

total charge	0
highest occupied orbital energy (spin up / spin down)	-12.028 / -11.954	eV
total energy	-994.3882	hartree
M	213.0	g/mol

Last column: natural (NBO) charge in e.
Cartesian coordinates (Å):
O -1.053 1.214 -1.753  -0.31
F 0.343 -1.947 1.107  -0.28
H 2.382 0.639 0.135  0.46
O 1.749 0.833 0.838  -0.67
O 1.055 0.805 -1.931  -0.31
C -1.077 0.579 0.940  0.93
N -0.005 0.774 -1.386  0.50
F -0.729 -2.073 -0.755  -0.30
F 1.381 -1.662 -0.751  -0.29
F -1.163 1.901 0.901  -0.29
C 0.244 -1.423 -0.104  0.92
F -2.290 0.083 0.663  -0.30
C -0.066 0.063 -0.077  0.20
F -0.770 0.213 2.172  -0.28



No. 4
DFT (ωB97M-V/def2-TZVPD) results for a structure of composition C3HFGdO2 in a non-equilibrium geometry.

total charge	+2
highest occupied orbital energy (spin up / spin down)	-16.273 / -16.376	eV
spin multiplicity	9
total energy	-1129.8957	hartree
M	245.3	g/mol

Last column: Mulliken spin population.
Cartesian coordinates (Å):
O 0.693 0.024 0.022  0.03
H -3.571 0.970 -1.317  0.01
Gd 3.283 0.607 0.455  6.17
C -0.134 -0.781 0.352  0.78
C -3.009 0.275 -0.698  -0.03
O -1.160 -1.220 -0.342  0.03
C -1.929 -0.375 -1.066  0.97
F -3.054 0.559 0.676  0.04



No. 5
DFT (ωB97M-V/def2-TZVPD) results for a structure of composition C3HFO2Tl in a non-equilibrium geometry.

total charge	+1
highest occupied orbital energy	-13.829	eV
total energy	-537.2680	hartree
M	292.4	g/mol

Last column: Löwdin charge in e.
Cartesian coordinates (Å):
C -1.511 0.590 -1.891  0.05
O -0.560 -0.286 -2.267  0.17
Tl 1.880 0.198 4.163  0.94
F 1.376 -0.212 2.235  -0.70
C 0.257 -0.491 -0.061  0.20
O -2.417 1.261 -1.927  0.45
C 0.202 -0.710 -1.266  -0.12
H 0.773 -0.349 1.015  0.01



No. 6
********

The expansion of a destructive productive system is not only transforming our ecosystems while accelerating the climate crisis and its impacts it is also generating new infectious diseases directly threatening humanity as a whole.

(Next to the article, the page also holds quantum chemistry results)
~~~
A molecular structure, C13H21Br6F8O5P in a non-equilibrium geometry. Source: the OMol25 dataset; level of theory: ωB97M-V with the def2-TZVPD basis set.

## Properties
largest force on an atom = 0.0938 Eh/bohr
LUMO level = -0.0245 Eh
ΔE to the lowest compared entry with this formula, charge and spin = 0.0 kcal/mol
E_HOMO = -10.38 eV

Structure (ORCA input):
```
! RIJCOSX wB97M-V def2-TZVPD def2/J DEFGRID3
* xyz 0 1
C 23.71791 -20.07852 19.59730
C 23.60406 -19.22402 18.31801
O 24.35302 -17.98012 18.39877
P 23.60675 -16.67077 17.79156
O 23.07821 -16.95773 16.42646
O 24.71392 -15.48474 17.92948
C 25.12289 -14.59201 16.86442
C 26.26304 -13.60766 17.17504
O 22.48621 -16.30257 18.88746
C 22.88390 -15.91484 20.21900
C 21.62941 -15.56373 21.01147
H 22.83188 -20.71242 19.56234
H 24.57330 -20.75376 19.61822
H 23.60688 -19.52318 20.52863
H 24.01539 -19.83482 17.51438
H 22.56123 -18.97980 18.11564
H 25.45532 -15.31879 16.12322
H 24.17568 -14.14660 16.56028
H 26.49481 -13.40293 18.22025
H 27.14884 -13.97583 16.65744
H 26.01533 -12.69047 16.64070
H 23.60317 -16.53596 20.75282
H 23.58087 -15.08190 20.12660
H 21.63169 -14.47832 21.11141
H 20.68838 -15.83292 20.53177
H 21.68640 -16.09785 21.95992
C 29.57764 -25.03831 24.93145
C 29.78464 -26.07063 26.01511
C 30.99020 -25.64612 26.90545
F 32.05181 -25.35963 26.17114
F 30.78010 -24.69348 27.80956
F 28.75714 -26.33616 26.69357
F 30.06236 -27.24489 25.41044
O 29.61677 -23.78176 25.58485
C 29.38381 -22.64734 24.69405
C 29.02412 -21.54242 25.60647
F 28.96643 -20.27856 25.12512
F 27.91352 -21.79220 26.26544
F 30.55485 -22.59256 24.00171
F 28.39519 -22.75455 23.71935
H 28.61333 -25.17584 24.44228
H 30.27186 -25.13055 24.09620
H 31.34274 -26.57695 27.34972
H 29.88518 -21.56760 26.27433
C 29.77744 -16.54973 20.33192
Br 31.05453 -17.34031 21.66698
Br 30.51754 -14.85058 19.52425
Br 28.09124 -16.25685 21.33037
H 29.60220 -17.14682 19.43700
C 27.20662 -20.60245 13.77761
Br 26.61654 -18.93322 12.75432
Br 28.03763 -20.30367 15.54727
Br 28.31583 -21.82435 12.66153
H 26.31262 -21.20734 13.92917
*
```


A single C5H10O molecule. Source: the OMol25 dataset; level of theory: ωB97M-V with the def2-TZVPD basis set.

## Properties
largest force on an atom = 0.0112 Eh/bohr
LUMO level = 0.0346 Eh
ΔE to the lowest compared entry with this formula, charge and spin = 79.0 kcal/mol
E_HOMO = -7.99 eV

Structure (ORCA input):
```
! RIJCOSX wB97M-V def2-TZVPD def2/J DEFGRID3
* xyz 0 1
C 1.69221 0.84184 0.82282
C 0.82104 0.54100 -0.37779
C -1.55242 -0.76281 -1.40150
C -1.27133 -1.75651 -0.29069
C -0.60512 0.92953 -0.00680
O -1.48777 0.49586 -1.05633
H 1.43717 0.15738 1.64079
H 1.49431 1.86259 1.16565
H 2.75414 0.74020 0.59865
H 0.92485 -0.51424 -0.65699
H 1.11567 1.10747 -1.26965
H -2.00969 -2.51211 -0.54541
H -0.30202 -2.26426 -0.35782
H -1.43296 -1.44094 0.74929
H -0.67755 2.02177 0.00299
H -0.90053 0.55325 0.98280
*
```
~~~
(The article goes on)

Moreover, a year of paralysis and forced slowdown of our economy has not solved or even halted the climate crisis that continues to impact communities, reducing the possibilities of a decent life for a large majority of the global population.

At the same time, the lockdowns and social distancing measures that have followed the development of the pandemic have been a real obstacle for many social movements to continue their struggle and in particular for a growing climate movement that had successfully mobilized across Europe and internationally in the last couple of years.

The youth part of our societies has been at the forefront of the movement for climate getting informed and organized on the need to take actions to respond to climate change and its social repercussions.

While slogan as “System change not Climate change” got really popular among the young strikers, the need for a powerful narrative around what a new “system” or society could look like, a society that could bring social justice and freedom while incorporating in its core the necessary protection and harmonious relationship with the environment is striking.

This series of podcasts offers to fill this gap by presenting and exploring various proposals coming from different political tendencies in the Left, providing a necessary horizon and imaginary for activist calling for a renewed society.

Needed collaboration

~~~
Below is the molecule C9H14BNO4 in a non-equilibrium geometry, with properties calculated with wB97M-V/def2-TZVPD.

Geometry as XYZ:
```
29
Properties=species:S:1:pos:R:3:forces:R:3:lowdin_charge:R:1
C -1.9531 -1.8474 -0.4478 -0.7 1.4 2.2 -0.050
C -0.6914 -2.0703 -1.2283 -0.4 -0.8 0.1 -0.615
C -1.0075 -1.9518 -2.7320 1.3 -0.5 0.1 -0.024
C -0.0010 -3.4174 -0.8812 -0.6 -0.4 0.6 -0.018
O 0.1630 -0.9495 -0.9782 1.5 0.5 0.6 0.016
C 0.3289 -0.4125 0.2329 -1.2 -0.8 1.2 -0.216
O -0.0550 -1.1806 1.3592 1.2 -0.1 -3.1 0.075
C 0.6635 0.8923 0.4512 -0.6 -0.9 -2.4 -0.290
N 0.8593 1.7134 -0.5966 0.3 0.1 0.1 0.144
C 1.1155 2.9757 -0.5580 0.0 -1.7 0.6 -0.137
C 1.3063 3.9654 0.5090 -0.8 -0.7 1.9 -0.051
C 1.0990 3.8006 1.8726 0.5 0.3 -2.0 0.070
B 0.9136 2.3398 2.4255 0.3 2.3 -0.4 -0.659
O 1.1436 2.0720 3.7070 -1.2 -3.5 -0.7 0.254
O 0.4894 1.3079 1.6962 -0.5 -0.8 2.0 0.203
H -1.9212 -2.0208 0.6852 0.2 0.1 -1.9 0.111
H -2.2096 -0.7651 -0.5874 0.1 -0.7 0.2 0.115
H -2.7963 -2.3725 -0.8065 -0.8 -0.9 -0.7 0.068
H -1.6021 -1.0447 -2.9345 0.2 -0.5 0.1 0.087
H -1.5538 -2.9069 -3.0275 0.9 1.4 -0.1 0.106
H 0.0389 -1.7883 -3.1777 -1.7 -0.6 -0.1 0.116
H -0.6436 -4.2551 -1.3033 0.9 0.9 0.4 0.099
H 1.0480 -3.4953 -1.2631 -1.0 0.1 0.2 0.096
H -0.0151 -3.5288 0.2452 0.3 0.1 -1.3 0.092
H -0.1454 -0.5160 2.0108 -0.1 1.1 1.7 0.081
H 1.2638 3.2715 -1.5538 0.2 1.4 -1.1 0.083
H 1.5671 4.8623 -0.0114 0.1 1.1 0.6 0.086
H 1.1264 4.6435 2.6063 0.3 -0.6 -1.0 0.100
H 1.4688 2.6785 4.2863 1.2 2.8 2.1 0.058
```
Forces are in eV/Å.

Gap between HOMO and LUMO (spin up / spin down) ... 7.04 / 7.04 eV
SMILES ... CC(C)(C)O/C(O)=C1\N=CC=CB(O)O1
Relative energy (zero: lowest compared OMol25 entry of this formula, charge and spin) ... 267.2 kJ/mol

=====

Below is a structure of composition C25H56As3N5O6P3Tl in a non-equilibrium geometry, with properties calculated with wB97M-V/def2-TZVPD.

Geometry as XYZ:
```
99
Properties=species:S:1:pos:R:3:forces:R:3:lowdin_charge:R:1
Tl 0.4399 0.1612 0.1719 -0.2 0.2 -0.2 0.691
N -2.5627 -3.6512 0.2065 -0.3 -0.4 -0.3 0.124
C -3.4686 -3.0610 1.0463 -0.9 -0.1 -0.3 -0.051
C -2.7544 -2.1943 1.7944 0.4 0.4 0.5 -0.092
N -1.4095 -2.2426 1.4343 -0.8 -0.2 0.3 0.062
C -1.3435 -3.1544 0.4831 0.5 0.3 -0.1 -0.260
C -0.1608 -3.5192 -0.2831 -0.2 0.4 0.4 -0.303
N 1.0013 -2.9147 -0.2217 0.3 -0.5 -0.5 0.070
C 1.7550 -3.5232 -1.2232 0.0 0.8 0.8 -0.130
C 1.0329 -4.4681 -1.8494 -0.1 -0.8 -0.8 -0.075
N -0.1975 -4.4654 -1.2443 -0.1 -0.2 -0.2 0.125
H -2.8012 -4.3144 -0.5227 0.0 0.3 0.3 0.168
H -4.5382 -3.2729 0.9785 0.6 0.1 0.2 0.138
H -3.0989 -1.5715 2.6152 0.1 -0.1 -0.3 0.121
H 2.7617 -3.2202 -1.4307 0.2 0.0 0.0 0.107
H 1.2968 -5.1148 -2.6780 -0.2 0.1 0.3 0.134
H -0.9918 -5.0459 -1.4691 0.3 -0.1 -0.1 0.163
C -3.0804 3.1746 -0.5233 0.2 -0.1 -0.3 -0.293
As -1.2350 2.6549 -0.9303 0.2 0.1 -0.2 1.045
C -0.2749 4.1267 -0.0645 -0.2 -0.4 -0.4 -0.289
C -1.0073 3.3318 -2.7959 -0.2 0.1 0.4 -0.336
C -1.3790 2.4364 -3.9825 0.2 -0.3 0.1 -0.708
C -1.6008 3.3403 -5.2025 0.2 -0.2 0.0 -0.071
~~~

This podcast series is intended to be a collaboration between the Brussels office of the Rosa Luxemburg Stiftung and a leftist oriented publishing house that possess a large library of publications and authors tackling the issues of climate change, climate justice, through different aspects and angles, bringing eco-socialist perspectives or other political analysis and proposal to discussion.


Based on the books made available by the publishing house as well as possible external publications the RLS-Brussels together with the contractor will design a series of podcast episodes that will cover the different proposals for transforming our economy and societies to integrate them within the limitations and boundaries of our environment.

The number of episodes should be evaluated between the RLS Brussels and the contractor to fit the needs and capacities of both entities.

The technical production of the podcast would need to be provided by the contractor. The possibility to have a third party doing the technical part is also an option.

The collaboration should start in June and cover the rest of 2021.


The RLS Brussels will cover the cost of the production of the podcast as well as possibly contributing to the outreach of the content on diverse networks and media.


Language of the podcast and publications: English.


Submission of abstracts: Wednesday, 26 May 21 Notification to authors: Thursday, 3 June 2020.


Project proposal of up to 1,200 Characters detailing the collection of publication at the disposal of the publishing house as well as an outline of the podcast series including details of the production process, cost and intended outreach plan must be submitted to Nessim Achouche at, subject line: “[your name] – Abstract: Podcast series by Wednesday, 26 May 2021,11 am CEST. Late submissions will not be considered.

The selection will be based on the proposed price (50%) the quality and adequacy of the publications offered by the applicant as well as the proposed outreach of the podcast series.